## Given
=====
Simulated X-ray powder pattern of MgFe3Co5O16 for Cu Ka, from a PBE+U-relaxed structure.
Neutral-atom scattering factors, no anomalous dispersion.

Principal peaks in the range 2θ from 15° to 90°, sorted by position:
d_spacing  two_theta  Rel. int.
4.618  19.22  100
4.439  20.00  28
4.357  20.38  29
3.425  26.02  37
2.644  33.90  28
2.476  36.28  30
2.450  36.68  24
2.418  37.19  22
2.403  37.43  31
2.395  37.55  31

Crystal structure
```
data_MgFe3Co5O16
_cell_length_a 5.733
_cell_length_b 5.749
_cell_length_c 9.243
_cell_angle_alpha 88.09
_cell_angle_beta 87.98
_cell_angle_gamma 60.46
_space_group_name_H-M_alt 'P 1'
_space_group_IT_number 1
_space_group_name_Hall 'P 1'
loop_
_atom_site_label
_atom_site_fract_x
_atom_site_fract_y
_atom_site_fract_z
Mg1 0.000 0.000 0.000
Fe1 0.164 0.658 0.726
Fe2 0.501 0.502 0.224
Fe3 0.657 0.158 0.725
Co1 0.006 0.007 0.401
Co2 0.008 0.502 0.233
Co3 0.159 0.153 0.711
Co4 0.501 0.009 0.234
Co5 0.665 0.663 0.510
O1 0.001 0.996 0.600
O2 0.160 0.666 0.130
O3 0.175 0.175 0.144
O4 0.290 0.855 0.831
O5 0.309 0.312 0.823
O6 0.328 0.332 0.339
O7 0.375 0.820 0.365
O8 0.491 0.997 0.606
O9 0.494 0.495 0.608
O10 0.667 0.160 0.132
O11 0.678 0.680 0.130
O12 0.815 0.815 0.359
O13 0.820 0.375 0.366
O14 0.847 0.844 0.840
O15 0.851 0.288 0.829
O16 0.988 0.495 0.607
```



Simulated X-ray powder pattern of MgFe3Co5O16 for Cu Ka, from a PBE+U-relaxed structure.
Neutral-atom scattering factors, no anomalous dispersion.

Principal peaks in the range 2θ from 15° to 90°, sorted by position:
d_spacing  two_theta  Rel. int.
4.453  19.94  100
4.410  20.14  20
4.330  20.51  89
2.543  35.29  30
2.478  36.26  26
2.436  36.89  23
2.424  37.09  53
2.389  37.66  34
1.467  63.41  30
1.450  64.24  29

Crystal structure
```
data_MgFe3Co5O16
_cell_length_a 5.720
_cell_length_b 5.804
_cell_length_c 8.908
_cell_angle_alpha 90.51
_cell_angle_beta 90.85
_cell_angle_gamma 118.76
_space_group_name_H-M_alt 'P 1'
_space_group_IT_number 1
_space_group_name_Hall 'P 1'
loop_
_atom_site_label
=====
## Job
Type out all of the entries further up without altering anything, please.
## Done
Simulated X-ray powder pattern of MgFe3Co5O16 for Cu Ka, from a PBE+U-relaxed structure.
Neutral-atom scattering factors, no anomalous dispersion.

Principal peaks in the range 2θ from 15° to 90°, sorted by position:
d_spacing  two_theta  Rel. int.
4.618  19.22  100
4.439  20.00  28
4.357  20.38  29
3.425  26.02  37
2.644  33.90  28
2.476  36.28  30
2.450  36.68  24
2.418  37.19  22
2.403  37.43  31
2.395  37.55  31

Crystal structure
```
data_MgFe3Co5O16
_cell_length_a 5.733
_cell_length_b 5.749
_cell_length_c 9.243
_cell_angle_alpha 88.09
_cell_angle_beta 87.98
_cell_angle_gamma 60.46
_space_group_name_H-M_alt 'P 1'
_space_group_IT_number 1
_space_group_name_Hall 'P 1'
loop_
_atom_site_label
_atom_site_fract_x
_atom_site_fract_y
_atom_site_fract_z
Mg1 0.000 0.000 0.000
Fe1 0.164 0.658 0.726
Fe2 0.501 0.502 0.224
Fe3 0.657 0.158 0.725
Co1 0.006 0.007 0.401
Co2 0.008 0.502 0.233
Co3 0.159 0.153 0.711
Co4 0.501 0.009 0.234
Co5 0.665 0.663 0.510
O1 0.001 0.996 0.600
O2 0.160 0.666 0.130
O3 0.175 0.175 0.144
O4 0.290 0.855 0.831
O5 0.309 0.312 0.823
O6 0.328 0.332 0.339
O7 0.375 0.820 0.365
O8 0.491 0.997 0.606
O9 0.494 0.495 0.608
O10 0.667 0.160 0.132
O11 0.678 0.680 0.130
O12 0.815 0.815 0.359
O13 0.820 0.375 0.366
O14 0.847 0.844 0.840
O15 0.851 0.288 0.829
O16 0.988 0.495 0.607
```



Simulated X-ray powder pattern of MgFe3Co5O16 for Cu Ka, from a PBE+U-relaxed structure.
Neutral-atom scattering factors, no anomalous dispersion.

Principal peaks in the range 2θ from 15° to 90°, sorted by position:
d_spacing  two_theta  Rel. int.
4.453  19.94  100
4.410  20.14  20
4.330  20.51  89
2.543  35.29  30
2.478  36.26  26
2.436  36.89  23
2.424  37.09  53
2.389  37.66  34
1.467  63.41  30
1.450  64.24  29

Crystal structure
```
data_MgFe3Co5O16
_cell_length_a 5.720
_cell_length_b 5.804
_cell_length_c 8.908
_cell_angle_alpha 90.51
_cell_angle_beta 90.85
_cell_angle_gamma 118.76
_space_group_name_H-M_alt 'P 1'
_space_group_IT_number 1
_space_group_name_Hall 'P 1'
loop_
_atom_site_label